Assignment.
The reader should search the calculation results underneath for the word "Ho" and set down each line that has it.

Source.
____________
Entry 1:
The following is a computed X-ray powder pattern of Pm4AlTl3. It was derived from the PBE geometry in Alexandria, using a wavelength of 1.5418 Å.
No peak broadening, texture or thermal motion is included.

Principal peaks in the range 2θ from 10° to 90°, in order of rising 2θ:
2θ (°)  I_rel
28.92  100
30.48  33
36.27  78
36.77  21
38.83  27
40.83  24

Structural model:
a b c (Å): 4.421 4.639 11.732
angles (deg): 90.00 90.00 90.00
Element x y z (fractional)
Pm 0.000 0.000 0.000
Pm 0.000 0.500 0.486
Pm 0.500 0.000 0.716
Pm 0.500 0.500 0.219
Al 0.000 0.000 0.277
Tl 0.000 0.500 0.763
Tl 0.500 0.000 0.435
Tl 0.500 0.500 0.944

Entry 2:
The following is a computed X-ray powder pattern of MgCdW2. It was derived from the PBE geometry in Alexandria, using a wavelength of 1.5418 Å.
No peak broadening, texture or thermal motion is included.

Principal peaks in the range 2θ from 10° to 90°, in order of rising 2θ:
2θ (°)  I_rel
37.53  25
38.77  100
38.92  25
44.35  16
55.18  16
70.38  17

Structural model:
a b c (Å): 3.243 4.628 9.586
angles (deg): 90.00 90.00 90.00
Element x y z (fractional)
Mg 0.000 0.000 0.000
Mg 0.500 0.500 0.000
Cd 0.000 0.500 0.729
Cd 0.500 0.000 0.729
W 0.000 0.000 0.467
W 0.000 0.500 0.246
W 0.500 0.000 0.246
W 0.500 0.500 0.467

Entry 3:
The following is a computed X-ray powder pattern of Sm4Te2S3. It was derived from the PBE geometry in Alexandria, using a wavelength of 1.5418 Å.
No peak broadening, texture or thermal motion is included.

Principal peaks in the range 2θ from 10° to 90°, in order of rising 2θ:
2θ (°)  I_rel
25.81  36
26.02  36
28.40  42
32.67  100
33.23  97
47.18  39

Structural model:
a b c (Å): 8.830 8.830 7.589
angles (deg): 90.00 90.00 128.56
Element x y z (fractional)
Sm 0.199 0.801 0.964
Sm 0.216 0.284 0.750
Sm 0.284 0.216 0.250
Sm 0.301 0.699 0.464
Sm 0.699 0.301 0.536
Sm 0.716 0.784 0.750
Sm 0.784 0.716 0.250
Sm 0.801 0.199 0.036
Te 0.107 0.893 0.576
Te 0.393 0.607 0.076
Te 0.607 0.393 0.924
Te 0.893 0.107 0.424
S 0.000 0.000 0.000
S 0.039 0.461 0.750
S 0.461 0.039 0.250
S 0.500 0.500 0.500
S 0.539 0.961 0.750
S 0.961 0.539 0.250

Entry 4:
The following is a computed X-ray powder pattern of Pm2Sm3Ho3. It was derived from the PBE geometry in Alexandria, using a wavelength of 1.5418 Å.
No peak broadening, texture or thermal motion is included.

Principal peaks in the range 2θ from 10° to 90°, in order of rising 2θ:
2θ (°)  I_rel
28.23  28
31.05  30
32.29  100
32.37  20
56.01  21
59.96  18

Structural model:
a b c (Å): 5.761 14.630 6.311
angles (deg): 90.00 90.08 90.00
Element x y z (fractional)
Pm 0.249 0.125 0.330
Pm 0.249 0.375 0.330
Pm 0.751 0.625 0.670
Pm 0.751 0.875 0.670
Sm 0.250 0.250 0.831
Sm 0.250 0.624 0.335
Sm 0.250 0.876 0.335
Sm 0.750 0.124 0.665
Sm 0.750 0.376 0.665
Sm 0.750 0.750 0.169
Ho 0.250 0.000 0.834
Ho 0.250 0.500 0.834
Ho 0.251 0.750 0.837
Ho 0.749 0.250 0.163
Ho 0.750 0.000 0.166
Ho 0.750 0.500 0.166

Entry 5:
The following is a computed X-ray powder pattern of Ac3Zn4In2. It was derived from the PBE geometry in Alexandria, using a wavelength of 1.5418 Å.
No peak broadening, texture or thermal motion is included.

Principal peaks in the range 2θ from 10° to 90°, in order of rising 2θ:
2θ (°)  I_rel
21.22  23
30.60  100
37.20  49
48.91  13
59.24  14
62.97  16

Structural model:
a b c (Å): 6.316 6.316 9.313
angles (deg): 108.11 108.11 45.06
Element x y z (fractional)
Ac 0.000 0.000 0.000
Ac 0.342 0.342 0.322
Ac 0.658 0.658 0.678
Zn 0.076 0.076 0.416
Zn 0.278 0.278 0.952
Zn 0.722 0.722 0.048
Zn 0.924 0.924 0.584
In 0.371 0.371 0.707
In 0.629 0.629 0.293

Entry 6:
The following is a computed X-ray powder pattern of Nd3Tm5Sc3. It was derived from the PBE geometry in Alexandria, using a wavelength of 1.5418 Å.
No peak broadening, texture or thermal motion is included.

Principal peaks in the range 2θ from 10° to 90°, in order of rising 2θ:
2θ (°)  I_rel
25.07  99
26.47  100
28.50  83
33.02  78
36.78  98
42.81  96

Structural model:
a b c (Å): 10.850 10.850 3.367
____________

Worked solution.
Ho 0.250 0.000 0.834
Ho 0.250 0.500 0.834
Ho 0.251 0.750 0.837
Ho 0.749 0.250 0.163
Ho 0.750 0.000 0.166
Ho 0.750 0.500 0.166